英国伯明翰大学(University of Birmingham)建于1825年,是一所著名的老牌大学。在2013年的上海交大世界大学学术排名中,伯明翰大学位居英国第10-14位,世界第101-150位。作为世界前150强大学,伯明翰大学也是英国著名的6所“红砖大学”之一,同时,是英国名校联盟“罗素大学集团”的成员大学,非常值得想去英国留学的学生选择。下面学习啦小编为大家整理了伯明翰留学奖学金项目相关的知识,希望对大家有用。
Foundation Academic Merit Scholarships
At the University of Birmingham we are dedicated to building a more diverse and international community of students. To help us welcome a greater number of students from all around the world we are pleased to introduce a generous Academic Merit Scholarship for 2017. These are all exclusively available to prospective Foundation Pathways students.
Please note this Foundation Scholarship is available only to Foundation Pathway offer-holders. To apply you must have accepted your offer for a Foundation Pathway. To accept your offer please return your Acceptance Form sent as part of your offer. If you are not currently holding a Foundation Pathway offer and have not accepted this place your scholarship application will not be considered.
The Academic Merit Scholarship is for £5,000 towards tuition fees for the one year full-time Foundation programme at the University, starting in September 2017. All eligible candidates will be considered for this award and selection will be based on academic achievement.
Who can apply?
To be eligible to apply for an Academic Merit Scholarship, you must meet the conditions below:
Candidates should have accepted their Foundation offer from the university and have submitted a scholarship application by 30 June 2017
Candidates should not be in receipt of any other internal or external scholarship, funding or sponsorship.
Meet the academic conditions of your offer to the programme.
Start your studies at the University in September 2017
Be classed by the University as an overseas fee payer for tuition fee payment, and should be able to fund the remaining costs of your studies at Birmingham from other sources.
Selection for the award will be based on the above criteria and the answers to questions provided in your application.
How can I apply?
We consider applicants based on the information provided in an online application form.
The online application form includes general questions about your academic background and includes short, essay-style questions (250 word limit) about academic and extra-curricular achievement.
Students who firmly accept their offer will be eligible, shortlisted on the basis of academic merit and selected based on their answers to the essay-style questions.
When is the deadline for applications?
The deadline for applications to the scholarship is 30 June 2017. You must have accepted your conditional or unconditional offer by this date.
When will the scholarship be awarded?
The full scholarship will be awarded upon enrolment in September 2017. Successful scholarship applicants will be notified of their award before 31 July 2017.
线上申请表包括学术背景方面的问题,包括学术成绩和课外活动 成绩方面的问题(250个单词以内)。
Chinese Student Awards
The Trustees meet twice a year, in spring and autumn.
Call for applications opens on 1st September 2017 for the November 2017 meeting
The deadline will be in October 2017
The meeting will be held in November 2017
The Great Britain-China Educational Trust (GBCET) administers its own awards, and also makes awards with funds contributed by the Sino-British Fellowship Trust, the Universities' China Committee in London, and the Han Suyin Trust. The awards are meant to contribute towards applicants' university tuition fees, and living expenses.
The funds awarded via the Han Suyin Trust are specifically for those Chinese (PRC) candidates who hold a recognised medical degree, or a degree in the field of science and technology with some work experience at the relevant level. Environmental topics, and in particular forestry and coastal studies, will also be given preference.
中英教育信托实施有自己的奖学金,也颁发有由 Sino-British Fellowship Trust、Universities' China Committee in London和Han Suyin Trust出资的奖学金。这些奖学金用于申请人的大学学费和生活费。
Han Suyin Trust 颁发的奖学金专门针对中国候选人,前提是候选人持有得到认可的医学学位,或持有科学技术领域的相关学位。环境方面的课题,特别是林业和海岸研究,会被有优先考虑。
Awards granted up to £3,000
However, the most common amount awarded is between £1,500-£2,000.
Misplaced data records:
********
Entry 1:
Density functional theory data (GGA+U) for an optimized crystal structure of Mg2VWO6.

Cell: 5.205 5.551 9.034 Å, 74.63 90.95 62.59°
Element x y z (fractional)
Mg (0.676, 0.643, 0.885)
Mg (0.176, 0.643, 0.385)
Mg (0.935, 0.141, 0.633)
Mg (0.435, 0.141, 0.133)
V (0.739, 0.518, 0.239)
V (0.239, 0.518, 0.739)
W (0.987, 0.024, 0.988)
W (0.487, 0.024, 0.488)
O (0.488, 0.296, 0.593)
O (0.989, 0.296, 0.093)
O (0.960, 0.811, 0.856)
O (0.461, 0.811, 0.356)
O (0.397, 0.810, 0.680)
O (0.897, 0.809, 0.180)
O (0.430, 0.806, 0.044)
O (0.930, 0.806, 0.545)
O (0.044, 0.308, 0.432)
O (0.544, 0.308, 0.932)
O (0.013, 0.309, 0.793)
O (0.513, 0.309, 0.293)

Summary:
Calculated formation energy = -2616 meV per atom
Energy relative to the lowest polymorph listed for this composition = 0.0 meV per atom
Magnetic moment = 3.00 μB per formula unit

Entry 2:
Density functional theory data (GGA+U) for an optimized crystal structure of LiCoC2O6.

Cell: 6.118 6.118 8.345 Å, 97.38 97.38 126.81°
Element x y z (fractional)
Li (0.057, 0.943, 0.500)
Li (0.943, 0.057, 0.000)
Co (0.368, 0.637, 0.358)
Co (0.637, 0.368, 0.858)
C (0.025, 0.682, 0.139)
C (0.499, 0.633, 0.072)
C (0.633, 0.499, 0.572)
C (0.682, 0.025, 0.639)
O (0.116, 0.851, 0.050)
O (0.155, 0.752, 0.301)
O (0.283, 0.454, 0.128)
O (0.423, 0.785, 0.585)
O (0.454, 0.283, 0.628)
O (0.487, 0.545, 0.915)
O (0.545, 0.487, 0.415)
O (0.699, 0.879, 0.161)
O (0.752, 0.155, 0.801)
O (0.785, 0.423, 0.085)
O (0.851, 0.116, 0.550)
O (0.879, 0.699, 0.661)

Summary:
Calculated formation energy = -1642 meV per atom
Energy relative to the lowest polymorph listed for this composition = 127.2 meV per atom
Magnetic moment = 4.00 μB per formula unit

Entry 3:
Density functional theory data (GGA+U) for an optimized crystal structure of FePH5CO4.

Cell: 4.844 5.800 18.021 Å, 89.89 89.64 89.52°
Element x y z (fractional)
Fe (0.000, 0.000, 0.000)
Fe (0.002, 0.003, 0.500)
Fe (0.501, 0.504, 0.525)
Fe (0.503, 0.503, 0.024)
P (0.436, 0.004, 0.607)
P (0.439, 0.005, 0.106)
P (0.938, 0.499, 0.917)
P (0.939, 0.503, 0.417)
H (0.135, 0.002, 0.713)
H (0.140, 0.003, 0.212)
H (0.414, 0.139, 0.914)
H (0.417, 0.866, 0.914)
H (0.425, 0.866, 0.412)
H (0.426, 0.137, 0.412)
H (0.448, 0.155, 0.731)
H (0.449, 0.847, 0.731)
H (0.452, 0.155, 0.230)
H (0.453, 0.847, 0.230)
H (0.637, 0.504, 0.812)
H (0.638, 0.503, 0.312)
H (0.919, 0.639, 0.112)
H (0.923, 0.637, 0.613)
H (0.924, 0.367, 0.612)
H (0.931, 0.369, 0.112)
H (0.949, 0.657, 0.793)
H (0.950, 0.656, 0.293)
H (0.951, 0.349, 0.793)
H (0.952, 0.348, 0.293)
C (0.360, 0.001, 0.705)
C (0.365, 0.002, 0.204)
C (0.862, 0.503, 0.820)
C (0.863, 0.502, 0.320)
O (0.251, 0.501, 0.428)
O (0.251, 0.502, 0.927)
O (0.290, 0.219, 0.572)
O (0.291, 0.796, 0.069)
O (0.292, 0.790, 0.571)
O (0.294, 0.002, 0.912)
O (0.297, 0.225, 0.072)
O (0.304, 0.003, 0.408)
O (0.749, 0.001, 0.596)
O (0.752, 0.001, 0.094)
O (0.789, 0.711, 0.955)
O (0.792, 0.717, 0.453)
O (0.794, 0.288, 0.453)
O (0.797, 0.283, 0.952)
O (0.802, 0.503, 0.616)
********
The Trustees give priority to applications where the bulk of funding has already been raised.
(3)For your information
The GBCET has been receiving increasing numbers of applications in recent years. The average ratio of successful candidates to unsuccessful is one in five.
(4)Eligibility requirements
Chinese nationality (from the PRC inc. Hong Kong) studying for a PhD in any subject at a UK university. Students must have started their third yearbefore they are eligible to submit their application.
British nationality PhD students giving conference papers in China, or travelling to China to pursue essential doctoral research. The Universities' China Committee in London (UCCL) also has an award in this category.
Students may apply twice for the award, but must wait a year before trying again.
The Trustees will not consider applications from:
Students who are not either Chinese or British nationality.
Undergraduates or students requiring funding for the first two years of a PhD, or a postgraduate taught course, e.g. MA, MSc, etc.
PRC/Hong Kong nationals for attending or giving papers at conferences, fieldwork or trips, or research materials (e.g. books, lab equipment, software, etc.)
1 掌握应急联系方式
Next to the text, the page also holds materials data.
No. 1
DFT (PBE) results for a geometry-optimized Mg2AsO5 structure.

Cell: 8.4210 8.4617 6.1702 Å, 90.00 90.00 90.00°
Space group Pnnm (No. 58)
Symmetry-distinct sites (fractional):
Mg 0.0000 0.0000 0.2470 [4 per cell]
Mg 0.1291 0.3561 0.5000 [4 per cell]
As 0.2485 0.2442 0.0000 [4 per cell]
O 0.1106 0.5976 0.5000 [4 per cell]
O 0.1297 0.2232 0.2250 [8 per cell]
O 0.1415 0.9160 0.0000 [4 per cell]
O 0.1427 0.9167 0.5000 [4 per cell]

Results
Total magnetization (μB/f.u.): 1.00
Energy of formation (eV per atom): -2.31


No. 2
DFT (PBE) results for a geometry-optimized Mg3Sn3As4O16 structure.

Cell: 9.1849 5.5476 17.8099 Å, 90.00 120.69 90.00°
Space group P2_1/c (No. 14)
Symmetry-distinct sites (fractional):
Mg 0.0000 0.0000 0.0000 [2 per cell]
Mg 0.3249 0.0657 0.2787 [4 per cell]
Sn 0.1699 0.0411 0.8647 [4 per cell]
Sn 0.5000 0.0000 0.5000 [2 per cell]
As 0.0178 0.0060 0.6332 [4 per cell]
As 0.4363 0.0402 0.1202 [4 per cell]
O 0.0074 0.6873 0.9473 [4 per cell]
O 0.0758 0.7075 0.6333 [4 per cell]
O 0.1486 0.1573 0.7308 [4 per cell]
O 0.1761 0.0520 0.3701 [4 per cell]
O 0.2503 0.0624 0.0224 [4 per cell]
O 0.4233 0.5261 0.7087 [4 per cell]
O 0.4404 0.7089 0.8667 [4 per cell]
O 0.4446 0.1968 0.8886 [4 per cell]

Results
Total magnetization (μB/f.u.): 0.00
Energy of formation (eV per atom): -1.99


No. 3
DFT (PBE) results for a geometry-optimized MgSnAsO5 structure.

Cell: 6.3706 9.0021 9.0861 Å, 69.57 89.93 89.86°
Space group P1 (No. 1)
Symmetry-distinct sites (fractional):
Mg 0.0000 0.0000 0.0000 [1 per cell]
Mg 0.0060 0.4263 0.1210 [1 per cell]
Mg 0.4983 0.0531 0.5621 [1 per cell]
Mg 0.5071 0.6200 0.4332 [1 per cell]
Sn 0.2480 0.0241 0.2821 [1 per cell]
Sn 0.2567 0.5235 0.7775 [1 per cell]
Sn 0.7476 0.0249 0.2805 [1 per cell]
Sn 0.7567 0.5216 0.7770 [1 per cell]
As 0.0090 0.4143 0.4895 [1 per cell]
As 0.4978 0.1365 0.9079 [1 per cell]
As 0.5071 0.6314 0.0639 [1 per cell]
As 0.9976 0.9097 0.6539 [1 per cell]
O 0.0038 0.7056 0.7190 [1 per cell]
O 0.0075 0.3812 0.8635 [1 per cell]
O 0.0108 0.5124 0.2914 [1 per cell]
O 0.2149 0.9729 0.5350 [1 per cell]
O 0.2339 0.5177 0.5520 [1 per cell]
O 0.2804 0.5270 0.0037 [1 per cell]
O 0.2806 0.0823 0.0279 [1 per cell]
O 0.4890 0.0533 0.7706 [1 per cell]
O 0.4972 0.1530 0.3224 [1 per cell]
O 0.4989 0.8616 0.3222 [1 per cell]
O 0.5049 0.3404 0.8328 [1 per cell]
O 0.5070 0.6636 0.6910 [1 per cell]
O 0.5110 0.5350 0.2623 [1 per cell]
O 0.7156 0.0788 0.0267 [1 per cell]
O 0.7327 0.5267 0.0027 [1 per cell]
O 0.7810 0.5167 0.5513 [1 per cell]
O 0.7806 0.9704 0.5340 [1 per cell]
O 0.9882 0.9841 0.7974 [1 per cell]
O 0.9980 0.1874 0.2354 [1 per cell]
O 0.9985 0.8960 0.2412 [1 per cell]

Results
Total magnetization (μB/f.u.): 0.00
Energy of formation (eV per atom): -2.11


No. 4
DFT (PBE) results for a geometry-optimized MgTiAsO5 structure.

Cell: 6.1262 8.1084 8.5897 Å, 90.00 90.00 90.00°
Space group P2_12_12_1 (No. 19)
Symmetry-distinct sites (fractional):
Mg 0.1061 0.1521 0.3257 [4 per cell]
The text goes on.
2 检查护照有效期
3 办妥目的地国签证
